(Work order)
Duplicate all of the listing below exactly.

(Excerpt)
/*
No. 1
Computed, not measured: a 12-piece molecular cluster, C44H81N15O25P overall at a distorted geometry, with wB97M-V/def2-TZVPD.

Computed properties:
**LUMO energy**: -3.054 eV
**Total charge**: +1
**DFT total energy**: -4767.64198 hartree
**Orbital gap**: 7.897 eV
**2S+1**: 1

Bonds (Å) are listed after each position.
Geometry (Å):
1 C -0.17 5.69 -1.78  C2 1.543, H42 1.089, H43 1.084, H44 1.085
2 C 0.62 4.60 -1.02  C1 1.543, C3 1.520, H45 1.089, H46 1.090
3 C 1.94 4.26 -1.70  C2 1.520, C4 1.528, H47 1.091, H48 1.090
4 C 2.67 3.12 -0.98  C3 1.528, C5 1.537, H49 1.089, H50 1.089
5 C 3.92 2.67 -1.74  C4 1.537, C6 1.526, H51 1.083, H52 1.087
6 C 4.08 1.15 -1.80  C5 1.526, C7 1.530, H53 1.090, H54 1.095
7 C 4.66 0.53 -0.53  C6 1.530, C8 1.541, H55 1.089, H56 1.090
8 C 4.80 -1.01 -0.56  C7 1.541, C9 1.571, H57 1.086, H58 1.087
9 C 3.61 -1.92 -0.10  C8 1.571, C10 1.493, H59 1.080, H60 1.087
10 C 2.23 -1.37 -0.28  C9 1.493, C11 1.395, N35 1.350
11 C 1.60 -0.66 0.74  C10 1.395, C12 1.504, C15 1.399
12 C 2.25 -0.40 2.07  C11 1.504, N13 1.482, H61 1.084, H62 1.083
13 N 1.68 -1.29 3.11  C12 1.482, C14 1.476, H63 1.012
14 C 2.71 -2.14 3.74  N13 1.476, H64 1.086, H65 1.088, H66 1.088
15 C 0.29 -0.22 0.53  C11 1.399, C16 1.488, C22 1.409
16 C -0.43 0.46 1.65  C15 1.488, C17 1.389, C21 1.381
17 C -1.46 -0.23 2.27  C16 1.389, C18 1.383, H67 1.079
18 C -2.14 0.39 3.30  C17 1.383, N19 1.331, H68 1.083
19 N -1.86 1.60 3.77  C18 1.331, C20 1.329
20 C -0.87 2.24 3.15  N19 1.329, C21 1.386, H69 1.082
21 C -0.13 1.73 2.10  C16 1.381, C20 1.386, H70 1.075
22 C -0.35 -0.44 -0.70  C15 1.409, C23 1.518, C31 1.387
23 C -1.76 0.12 -0.86  C22 1.518, C24 1.554, H71 1.089, H72 1.080
24 C -2.90 -0.93 -0.96  C23 1.554, C25 1.541, H73 1.083, H74 1.087
25 C -4.13 -0.29 -1.64  C24 1.541, C26 1.518, H75 1.086, H76 1.085
26 C -4.39 -0.76 -3.06  C25 1.518, N27 1.498, H77 1.086, H78 1.092
27 N -5.02 0.31 -3.89  C26 1.498, C28 1.395, H79 1.015
28 C -4.11 1.24 -4.40  N27 1.395, C29 1.507, O30 1.207
29 C -3.82 1.32 -5.87  C28 1.507, H80 1.087, H81 1.084, H82 1.089
30 O -3.55 2.02 -3.67  C28 1.207
31 C 0.32 -1.13 -1.70  C22 1.387, P32 1.874, N35 1.362
32 P -0.61 -1.37 -3.31  C31 1.874, O33 1.634, O34 1.647
33 O 0.41 -2.04 -4.39  P32 1.634, H83 0.965
34 O -0.63 0.21 -3.76  P32 1.647, H84 0.966
35 N 1.57 -1.60 -1.44  C10 1.350, C31 1.362, C36 1.456
36 C 2.22 -2.43 -2.44  N35 1.456, C37 1.392, C41 1.380
37 C 1.82 -3.76 -2.52  C36 1.392, C38 1.390, H85 1.083
38 C 2.39 -4.62 -3.46  C37 1.390, C39 1.388, H86 1.079
39 C 3.34 -4.16 -4.35  C38 1.388, C40 1.394, H87 1.077
40 C 3.73 -2.82 -4.27  C39 1.394, C41 1.393, H88 1.079
41 C 3.18 -1.96 -3.32  C36 1.380, C40 1.393, H89 1.079
42 H -1.22 5.43 -1.70  C1 1.089
43 H -0.04 6.66 -1.33  C1 1.084
44 H 0.08 5.70 -2.84  C1 1.085
45 H 0.80 4.97 -0.01  C2 1.089
46 H 0.00 3.70 -1.00  C2 1.090
47 H 2.58 5.14 -1.67  C3 1.091
48 H 1.80 4.02 -2.75  C3 1.090
49 H 2.99 3.50 -0.01  C4 1.089
50 H 1.97 2.29 -0.88  C4 1.089
51 H 4.82 3.16 -1.38  C5 1.083
52 H 3.79 3.01 -2.76  C5 1.087
53 H 3.13 0.73 -2.11  C6 1.090
54 H 4.78 0.94 -2.61  C6 1.095
55 H 5.67 0.92 -0.44  C7 1.089
56 H 4.12 0.91 0.33  C7 1.090
57 H 5.64 -1.25 0.09  C8 1.086
58 H 5.07 -1.29 -1.57  C8 1.087
59 H 3.75 -2.13 0.95  C9 1.080
60 H 3.72 -2.87 -0.61  C9 1.087
61 H 2.11 0.63 2.36  C12 1.084
62 H 3.32 -0.53 2.02  C12 1.083
63 H 1.04 -1.90 2.62  N13 1.012
64 H 3.66 -1.63 3.82  C14 1.086
65 H 2.80 -3.10 3.23  C14 1.088
66 H 2.38 -2.34 4.76  C14 1.088
67 H -1.76 -1.22 1.95  C17 1.079
68 H -2.95 -0.15 3.77  C18 1.083
69 H -0.63 3.23 3.51  C20 1.082
70 H 0.67 2.30 1.65  C21 1.075
71 H -1.81 0.77 -1.73  C23 1.089
72 H -2.00 0.75 -0.02  C23 1.080
73 H -2.59 -1.85 -1.43  C24 1.083
74 H -3.23 -1.13 0.06  C24 1.087
75 H -5.01 -0.53 -1.06  C25 1.086
76 H -4.05 0.79 -1.64  C25 1.085
77 H -5.10 -1.58 -3.06  C26 1.086
78 H -3.49 -1.12 -3.57  C26 1.092
79 H -5.43 -0.15 -4.70  N27 1.015
80 H -4.44 2.07 -6.35  C29 1.087
81 H -2.80 1.64 -6.02  C29 1.084
82 H -3.96 0.38 -6.41  C29 1.089
*/

(Result)
No. 1
Computed, not measured: a 12-piece molecular cluster, C44H81N15O25P overall at a distorted geometry, with wB97M-V/def2-TZVPD.

Computed properties:
**LUMO energy**: -3.054 eV
**Total charge**: +1
**DFT total energy**: -4767.64198 hartree
**Orbital gap**: 7.897 eV
**2S+1**: 1

Bonds (Å) are listed after each position.
Geometry (Å):
1 C -0.17 5.69 -1.78  C2 1.543, H42 1.089, H43 1.084, H44 1.085
2 C 0.62 4.60 -1.02  C1 1.543, C3 1.520, H45 1.089, H46 1.090
3 C 1.94 4.26 -1.70  C2 1.520, C4 1.528, H47 1.091, H48 1.090
4 C 2.67 3.12 -0.98  C3 1.528, C5 1.537, H49 1.089, H50 1.089
5 C 3.92 2.67 -1.74  C4 1.537, C6 1.526, H51 1.083, H52 1.087
6 C 4.08 1.15 -1.80  C5 1.526, C7 1.530, H53 1.090, H54 1.095
7 C 4.66 0.53 -0.53  C6 1.530, C8 1.541, H55 1.089, H56 1.090
8 C 4.80 -1.01 -0.56  C7 1.541, C9 1.571, H57 1.086, H58 1.087
9 C 3.61 -1.92 -0.10  C8 1.571, C10 1.493, H59 1.080, H60 1.087
10 C 2.23 -1.37 -0.28  C9 1.493, C11 1.395, N35 1.350
11 C 1.60 -0.66 0.74  C10 1.395, C12 1.504, C15 1.399
12 C 2.25 -0.40 2.07  C11 1.504, N13 1.482, H61 1.084, H62 1.083
13 N 1.68 -1.29 3.11  C12 1.482, C14 1.476, H63 1.012
14 C 2.71 -2.14 3.74  N13 1.476, H64 1.086, H65 1.088, H66 1.088
15 C 0.29 -0.22 0.53  C11 1.399, C16 1.488, C22 1.409
16 C -0.43 0.46 1.65  C15 1.488, C17 1.389, C21 1.381
17 C -1.46 -0.23 2.27  C16 1.389, C18 1.383, H67 1.079
18 C -2.14 0.39 3.30  C17 1.383, N19 1.331, H68 1.083
19 N -1.86 1.60 3.77  C18 1.331, C20 1.329
20 C -0.87 2.24 3.15  N19 1.329, C21 1.386, H69 1.082
21 C -0.13 1.73 2.10  C16 1.381, C20 1.386, H70 1.075
22 C -0.35 -0.44 -0.70  C15 1.409, C23 1.518, C31 1.387
23 C -1.76 0.12 -0.86  C22 1.518, C24 1.554, H71 1.089, H72 1.080
24 C -2.90 -0.93 -0.96  C23 1.554, C25 1.541, H73 1.083, H74 1.087
25 C -4.13 -0.29 -1.64  C24 1.541, C26 1.518, H75 1.086, H76 1.085
26 C -4.39 -0.76 -3.06  C25 1.518, N27 1.498, H77 1.086, H78 1.092
27 N -5.02 0.31 -3.89  C26 1.498, C28 1.395, H79 1.015
28 C -4.11 1.24 -4.40  N27 1.395, C29 1.507, O30 1.207
29 C -3.82 1.32 -5.87  C28 1.507, H80 1.087, H81 1.084, H82 1.089
30 O -3.55 2.02 -3.67  C28 1.207
31 C 0.32 -1.13 -1.70  C22 1.387, P32 1.874, N35 1.362
32 P -0.61 -1.37 -3.31  C31 1.874, O33 1.634, O34 1.647
33 O 0.41 -2.04 -4.39  P32 1.634, H83 0.965
34 O -0.63 0.21 -3.76  P32 1.647, H84 0.966
35 N 1.57 -1.60 -1.44  C10 1.350, C31 1.362, C36 1.456
36 C 2.22 -2.43 -2.44  N35 1.456, C37 1.392, C41 1.380
37 C 1.82 -3.76 -2.52  C36 1.392, C38 1.390, H85 1.083
38 C 2.39 -4.62 -3.46  C37 1.390, C39 1.388, H86 1.079
39 C 3.34 -4.16 -4.35  C38 1.388, C40 1.394, H87 1.077
40 C 3.73 -2.82 -4.27  C39 1.394, C41 1.393, H88 1.079
41 C 3.18 -1.96 -3.32  C36 1.380, C40 1.393, H89 1.079
42 H -1.22 5.43 -1.70  C1 1.089
43 H -0.04 6.66 -1.33  C1 1.084
44 H 0.08 5.70 -2.84  C1 1.085
45 H 0.80 4.97 -0.01  C2 1.089
46 H 0.00 3.70 -1.00  C2 1.090
47 H 2.58 5.14 -1.67  C3 1.091
48 H 1.80 4.02 -2.75  C3 1.090
49 H 2.99 3.50 -0.01  C4 1.089
50 H 1.97 2.29 -0.88  C4 1.089
51 H 4.82 3.16 -1.38  C5 1.083
52 H 3.79 3.01 -2.76  C5 1.087
53 H 3.13 0.73 -2.11  C6 1.090
54 H 4.78 0.94 -2.61  C6 1.095
55 H 5.67 0.92 -0.44  C7 1.089
56 H 4.12 0.91 0.33  C7 1.090
57 H 5.64 -1.25 0.09  C8 1.086
58 H 5.07 -1.29 -1.57  C8 1.087
59 H 3.75 -2.13 0.95  C9 1.080
60 H 3.72 -2.87 -0.61  C9 1.087
61 H 2.11 0.63 2.36  C12 1.084
62 H 3.32 -0.53 2.02  C12 1.083
63 H 1.04 -1.90 2.62  N13 1.012
64 H 3.66 -1.63 3.82  C14 1.086
65 H 2.80 -3.10 3.23  C14 1.088
66 H 2.38 -2.34 4.76  C14 1.088
67 H -1.76 -1.22 1.95  C17 1.079
68 H -2.95 -0.15 3.77  C18 1.083
69 H -0.63 3.23 3.51  C20 1.082
70 H 0.67 2.30 1.65  C21 1.075
71 H -1.81 0.77 -1.73  C23 1.089
72 H -2.00 0.75 -0.02  C23 1.080
73 H -2.59 -1.85 -1.43  C24 1.083
74 H -3.23 -1.13 0.06  C24 1.087
75 H -5.01 -0.53 -1.06  C25 1.086
76 H -4.05 0.79 -1.64  C25 1.085
77 H -5.10 -1.58 -3.06  C26 1.086
78 H -3.49 -1.12 -3.57  C26 1.092
79 H -5.43 -0.15 -4.70  N27 1.015
80 H -4.44 2.07 -6.35  C29 1.087
81 H -2.80 1.64 -6.02  C29 1.084
82 H -3.96 0.38 -6.41  C29 1.089